• Material:
┌──
# 1
The following is a DFT calculation (PBE with a Hubbard U) of an optimized crystal structure of KMo3P2O14.

```
40
Lattice="8.954 0.000 0.000 0.000 6.508 0.000 -3.896 0.000 10.090" Properties=species:S:1:pos:R:3 pbc="T T T"
K -0.863 1.627 2.499
K 5.921 4.881 7.591
Mo 1.650 4.881 1.758
Mo 0.512 4.881 4.997
Mo -0.372 1.627 8.858
Mo 5.430 4.881 1.232
Mo 4.546 1.627 5.093
Mo 3.408 1.627 8.332
P 0.979 1.627 5.699
P 2.707 1.627 2.005
P 2.351 4.881 8.085
P 4.080 4.881 4.391
O 0.730 4.881 0.317
O -1.097 4.881 5.570
O 0.240 4.881 3.016
O -1.377 0.226 8.779
O -1.377 3.028 8.779
O 1.760 0.400 1.932
O 1.760 2.854 1.932
O 0.705 0.400 4.798
O 0.705 2.854 4.798
O -0.021 1.627 6.871
O 3.440 4.881 1.162
O 3.694 1.627 0.809
O 2.616 4.881 3.897
O 1.546 4.881 6.782
O 3.512 1.627 3.308
O 2.442 1.627 6.193
O 1.364 4.881 9.281
O 1.618 1.627 8.929
O 5.079 4.881 3.219
O 4.353 3.654 5.292
O 4.353 6.108 5.292
O 3.298 3.654 8.158
O 3.298 6.108 8.158
O 6.435 3.480 1.311
O 6.435 6.282 1.311
O 4.818 1.627 7.074
O 6.155 1.627 4.520
O 4.328 1.627 9.773
```

Properties
- E_form (meV per atom) = -2292
- total magnetization (μB per formula unit) = 1.00
- space-group type = No. 11

# 2
The following is a DFT calculation (PBE with a Hubbard U) of an optimized crystal structure of K2Mo2P2O11.

```
68
Lattice="9.448 0.000 0.000 0.000 9.104 0.000 0.000 0.000 11.121" Properties=species:S:1:pos:R:3 pbc="T T T"
K 1.913 0.096 0.950
K 1.913 9.009 6.510
K 2.811 4.457 6.510
K 2.811 4.648 0.950
K 6.637 4.457 10.171
K 6.637 4.648 4.611
K 7.535 0.096 4.611
K 7.535 9.009 10.171
Mo 0.736 2.472 3.847
Mo 0.736 6.632 9.408
Mo 3.988 2.080 9.408
Mo 3.988 7.025 3.847
Mo 5.460 2.080 7.273
Mo 5.460 7.025 1.713
Mo 8.712 2.472 1.713
Mo 8.712 6.632 7.273
P 0.665 2.967 9.703
P 0.665 6.137 4.142
P 4.059 1.585 4.142
P 4.059 7.520 9.703
P 5.389 1.585 1.418
P 5.389 7.520 6.979
P 8.783 2.967 6.979
P 8.783 6.137 1.418
O 0.000 2.392 8.341
O 0.000 6.713 2.780
O 0.456 2.747 5.946
O 0.456 6.358 0.386
O 0.743 0.750 4.034
O 0.743 8.354 9.594
O 1.023 4.434 9.517
O 1.023 4.671 3.957
O 1.209 2.749 1.952
O 1.209 6.355 7.513
O 1.884 2.076 9.971
O 1.884 7.028 4.410
O 2.840 2.476 4.410
O 2.840 6.629 9.971
O 3.514 1.803 7.513
O 3.514 7.301 1.952
O 3.701 0.119 3.957
O 3.701 8.986 9.517
O 3.981 3.802 9.594
O 3.981 5.302 4.034
O 4.268 1.806 0.386
O 4.268 7.299 5.946
O 4.724 2.161 2.780
O 4.724 6.944 8.341
O 5.180 1.806 5.174
O 5.180 7.299 10.735
O 5.467 3.802 7.087
O 5.467 5.302 1.527
O 5.747 0.119 1.604
O 5.747 8.986 7.164
O 5.933 1.803 9.169
O 5.933 7.301 3.608
O 6.608 2.476 1.150
O 6.608 6.629 6.710
O 7.564 2.076 6.710
O 7.564 7.028 1.150
O 8.238 2.749 3.608
O 8.238 6.355 9.169
O 8.425 4.434 7.164
O 8.425 4.671 1.604
O 8.705 0.750 1.527
O 8.705 8.354 7.087
O 8.992 2.747 10.735
O 8.992 6.358 5.174
```

Properties
- E_form (meV per atom) = -2379
- ΔE to the lowest computed polymorph (eV/atom) = 0.062
- total magnetization (μB per formula unit) = 0.00
- space-group type = No. 60

# 3
The following is a DFT calculation (PBE with a Hubbard U) of an optimized crystal structure of KMoP2O7.

```
44
Lattice="7.562 0.000 0.000 0.000 10.629 0.000 -2.496 0.000 8.170" Properties=species:S:1:pos:R:3 pbc="T T T"
K 1.205 1.827 0.497
K -0.043 3.488 4.581
K 5.110 7.141 3.588
K 3.862 8.802 7.673
Mo 1.130 6.388 2.115
Mo -0.118 9.555 6.200
Mo 5.185 1.074 1.970
Mo 3.937 4.241 6.055
P -1.089 6.392 6.734
P 0.159 9.551 2.649
P 1.599 6.776 5.679
P 2.847 9.168 1.594
P 2.220 1.461 6.575
P 3.468 3.853 2.490
P 4.907 1.078 5.521
P 6.155 4.237 1.436
O -1.761 5.322 5.860
O -0.513 10.621 1.775
O -1.325 7.778 6.098
O -0.077 8.166 2.014
O 0.994 6.345 0.009
O -0.254 9.599 4.094
O 1.132 6.441 4.269
O 2.380 9.503 0.184
O 0.504 6.065 6.668
O 1.752 9.879 2.583
O 0.872 0.849 6.201
O 2.120 4.465 2.116
O 2.869 7.671 1.956
O 1.621 8.273 6.041
O 3.446 2.356 2.128
O 2.198 2.958 6.213
O 2.946 6.164 6.054
O 4.194 9.780 1.969
O 3.315 0.750 5.586
O 4.563 4.564 1.501
O 2.687 1.126 7.985
O 3.935 4.188 3.901
O 5.321 1.030 4.075
O 4.073 4.284 8.160
└──
• Work order:
It remains to find "4.059 7.520" and "3.446 2.356" in the contents above, and quote these two lines and those between.
• Written answer:
P 4.059 7.520 9.703
P 5.389 1.585 1.418
P 5.389 7.520 6.979
P 8.783 2.967 6.979
P 8.783 6.137 1.418
O 0.000 2.392 8.341
O 0.000 6.713 2.780
O 0.456 2.747 5.946
O 0.456 6.358 0.386
O 0.743 0.750 4.034
O 0.743 8.354 9.594
O 1.023 4.434 9.517
O 1.023 4.671 3.957
O 1.209 2.749 1.952
O 1.209 6.355 7.513
O 1.884 2.076 9.971
O 1.884 7.028 4.410
O 2.840 2.476 4.410
O 2.840 6.629 9.971
O 3.514 1.803 7.513
O 3.514 7.301 1.952
O 3.701 0.119 3.957
O 3.701 8.986 9.517
O 3.981 3.802 9.594
O 3.981 5.302 4.034
O 4.268 1.806 0.386
O 4.268 7.299 5.946
O 4.724 2.161 2.780
O 4.724 6.944 8.341
O 5.180 1.806 5.174
O 5.180 7.299 10.735
O 5.467 3.802 7.087
O 5.467 5.302 1.527
O 5.747 0.119 1.604
O 5.747 8.986 7.164
O 5.933 1.803 9.169
O 5.933 7.301 3.608
O 6.608 2.476 1.150
O 6.608 6.629 6.710
O 7.564 2.076 6.710
O 7.564 7.028 1.150
O 8.238 2.749 3.608
O 8.238 6.355 9.169
O 8.425 4.434 7.164
O 8.425 4.671 1.604
O 8.705 0.750 1.527
O 8.705 8.354 7.087
O 8.992 2.747 10.735
O 8.992 6.358 5.174
```

Properties
- E_form (meV per atom) = -2379
- ΔE to the lowest computed polymorph (eV/atom) = 0.062
- total magnetization (μB per formula unit) = 0.00
- space-group type = No. 60

# 3
The following is a DFT calculation (PBE with a Hubbard U) of an optimized crystal structure of KMoP2O7.

```
44
Lattice="7.562 0.000 0.000 0.000 10.629 0.000 -2.496 0.000 8.170" Properties=species:S:1:pos:R:3 pbc="T T T"
K 1.205 1.827 0.497
K -0.043 3.488 4.581
K 5.110 7.141 3.588
K 3.862 8.802 7.673
Mo 1.130 6.388 2.115
Mo -0.118 9.555 6.200
Mo 5.185 1.074 1.970
Mo 3.937 4.241 6.055
P -1.089 6.392 6.734
P 0.159 9.551 2.649
P 1.599 6.776 5.679
P 2.847 9.168 1.594
P 2.220 1.461 6.575
P 3.468 3.853 2.490
P 4.907 1.078 5.521
P 6.155 4.237 1.436
O -1.761 5.322 5.860
O -0.513 10.621 1.775
O -1.325 7.778 6.098
O -0.077 8.166 2.014
O 0.994 6.345 0.009
O -0.254 9.599 4.094
O 1.132 6.441 4.269
O 2.380 9.503 0.184
O 0.504 6.065 6.668
O 1.752 9.879 2.583
O 0.872 0.849 6.201
O 2.120 4.465 2.116
O 2.869 7.671 1.956
O 1.621 8.273 6.041
O 3.446 2.356 2.128